In this part we created 9 buttons to use them for the direction control. When the user wants to move the wheelchair in any direction, he just has to click on the desired direction button. We made arrows pictures on the buttons to make a friendly use for the gui. After clicking, the gui will send a specific character to the Arduino microcontroller via serial protocol.Here is the GUI python code flowchart:

In this part, we created 5 buttons to use them for the speed control. When the user wants to move the wheelchair in any direction with specific speed, he just has to click on the desired speed button. We made pictures of numbers on the buttons to make a friendly use for the gui. After clicking, the gui will send a specific character to the Arduino microcontroller via serial protocol. 

In this part we used openCV library for video capturing purpose and the procedures of doing that are as follows:

  • Reading the data from the USB port.
  • Convert color to RGB.
  • Convert video to frames of arrays.
  • Configure the window of video with the GUI.
  • Show. Fourth Part: Direction Indications:

In this part we improved the GUI to increase the facilities and features, so when the user clicks on any button of the direction buttons, there is a label that will be on with an indication text to inform the user the current status. 

Fifth Part: Speed Indications:

In this part we improved the GUI to increase the facilities and features, so when the user clicks on any button of the direction buttons, there is a label that will be on with an indication text to inform the user the current status. 

Sixth Part: Optimization:

In this part we optimize the with extra features like permanently blinking message ("Have a good driving"), with two different colors and when the user moves the wheelchair with the maximum speed the message will be replaced with another blinking message ("Slow down") with warning red color. Also in the final gui we add some effects for the labels to make them in groove form as well as adding a scale slider that changes with speeds change.

**Records of crystals from another source follow**
=====
For K2MnSO4F3, a DFT-relaxed cell (PBE+U, the Materials Project) gives the simulated X-ray powder pattern in this record (Cu Kα).

Principal peaks in the range 5° ≤ 2θ ≤ 70°, by angle:
index  2theta  I_rel
1 1 0  13.1  57
2 0 0  16.1  36
1 1 1  17.7  23
3 1 0  26.5  25
1 1 2  27.3  72
2 2 1  29.1  100
0 2 2  31.9  43
1 3 0  32.5  28
1 2 3  42.9  21
7 1 0  59.9  14

Structure:
Unit cell a=10.9879 b=8.5306 c=7.4596 alpha=90.00 beta=90.00 gamma=90.00
Space group Pbcn (No. 60)
One atom of each set of equivalent atoms:
K 0.1910 0.1697 0.1882
Mn 0.0000 0.5000 0.0000
S 0.0000 0.1924 0.7500
O 0.0609 0.2974 0.6114
O 0.0964 0.0986 0.8336
F 0.0000 0.3822 0.2500
F 0.1629 0.4419 0.9753

For K2MnSO4F3, a DFT-relaxed cell (PBE+U, the Materials Project) gives the simulated X-ray powder pattern in this record (Cu Kα).

Principal peaks in the range 5° ≤ 2θ ≤ 70°, by angle:
index  2theta  I_rel
0 1 1  13.0  100
0 2 0  16.1  65
2 1 -1  27.1  73
2 1 1  27.9  58
1 2 -2  28.6  59
1 3 -1  28.9  37
1 2 2  29.3  96
2 0 -2  31.2  39
0 1 3  32.2  58
2 0 2  32.6  44

Structure:
Unit cell a=7.4024 b=11.0229 c=8.6166 alpha=90.00 beta=92.42 gamma=90.00
Space group P2_1/c (No. 14)
One atom of each set of equivalent atoms:
K 0.1837 0.1930 0.3351
K 0.3123 0.6926 0.8327
Mn 0.0000 0.0000 0.0000
Mn 0.5000 0.0000 0.0000
S 0.2523 0.0004 0.6887
O 0.1141 0.0612 0.7848
O 0.1715 0.5996 0.0969
O 0.3412 0.0920 0.5945
O 0.3940 0.5599 0.3004
F 0.0231 0.6630 0.4463
F 0.2372 0.9995 0.1103
F 0.4772 0.1631 0.9388

For KRb2MnF6, a DFT-relaxed cell (PBE+U, the Materials Project) gives the simulated X-ray powder pattern in this record (Cu Kα).

Principal peaks in the range 5° ≤ 2θ ≤ 70°, by angle:
index  2theta  I_rel
1 1 2  27.7  100
2 0 0  28.3  48
2 0 2  34.3  35
0 0 4  38.6  26
2 2 0  40.5  43
2 0 4  48.5  20
3 1 2  49.8  34
2 2 4  57.2  27
4 0 0  58.6  12
1 1 6  63.3  10

Structure:
Unit cell a=6.2972 b=6.2972 c=9.3409 alpha=90.00 beta=90.00 gamma=90.00
Space group I4/mmm (No. 139)
One atom of each set of equivalent atoms:
K 0.0000 0.0000 0.0000
Rb 0.0000 0.5000 0.2500
Mn 0.0000 0.0000 0.5000
F 0.0000 0.0000 0.2736
F 0.2145 0.2145 0.5000

* * * * *

[1]
For ZrSi3Ir2, a structure optimized by DFT (GGA-PBE) gives the calculated PXRD pattern in this record (Cu Kα X-rays).
Kinematic intensities with the Lorentz-polarization factor, no thermal factor.

Atomic structure:
```
data_ZrSi3Ir2
_cell_length_a 7.5767
_cell_length_b 7.5767
_cell_length_c 7.4287
_cell_angle_alpha 119.28
_cell_angle_beta 119.28
_cell_angle_gamma 31.07
_space_group_name_H-M_alt 'P 1'
_space_group_IT_number 1
loop_
_space_group_symop_operation_xyz
'x,y,z'
loop_
_atom_site_label
_atom_site_type_symbol
_atom_site_fract_x
_atom_site_fract_y
_atom_site_fract_z
Zr1 Zr 0.1341 0.1341 0.1519
Zr2 Zr 0.8659 0.8659 0.8481
Si1 Si 0.0090 0.0090 0.6656
Si2 Si 0.3110 0.3110 0.0945
Si3 Si 0.3349 0.3349 0.5508
Si4 Si 0.6651 0.6651 0.4492
Si5 Si 0.6890 0.6890 0.9055
Si6 Si 0.9910 0.9910 0.3344
Ir1 Ir 0.1922 0.1922 0.6550
=====

 Arduino Code for the Direction Control:

As we saw in the below flowchart after reading from the serial,so if received character is the one for forward movement so the commands that will be sent to the motors will move the wheelchair in forward direction and so on.

If received character is the one for any speed level so the commands that will be sent to the motors will move the wheelchair with that speed level and so on.